File.
┌──
Computed, not measured: a relaxed Nb3Co2Si crystal at the PBE level of DFT.

a = 7.913 Å, b = 7.913 Å, c = 7.913 Å
α = 60.00°, β = 60.00°, γ = 60.00°
Fractional coordinates of all 24 atoms:
Si  0.125  0.625  0.125
Nb  0.951  0.951  0.549
Nb  0.951  0.549  0.549
Si  0.125  0.125  0.625
Co  0.917  0.917  0.917
Si  0.125  0.125  0.125
Nb  0.701  0.299  0.299
Nb  0.299  0.299  0.701
Co  0.917  0.917  0.248
Nb  0.549  0.951  0.951
Nb  0.701  0.701  0.299
Nb  0.951  0.549  0.951
Co  0.248  0.917  0.917
Nb  0.549  0.951  0.549
Nb  0.299  0.701  0.701
Si  0.625  0.125  0.125
Co  0.333  0.333  0.002
Nb  0.299  0.701  0.299
Nb  0.549  0.549  0.951
Co  0.333  0.333  0.333
Co  0.917  0.248  0.917
Co  0.333  0.002  0.333
Nb  0.701  0.299  0.701
Co  0.002  0.333  0.333

Computed properties:
formation energy from the elements	-0.364	eV per atom
crystal system	cubic
magnetization	0.00	μB per atom
electronic total energy	-208.8	eV for the cell shown

~~~~~

# 1
{
  "formula": "Er2Se3",
  "functional": "PBE",
  "state": "optimized geometry",
  "sg": "I-42d, No. 122",
  "e_form_ev_per_atom": -2.082,
  "cell": [[3.431, -1.799, 13.783], [-8.011, 1.936, 11.708], [0.446, -5.883, -13.045]],
  "species": ["Er", "Er", "Er", "Er", "Er", "Er", "Er", "Er", "Er", "Er", "Er", "Er", "Er", "Er", "Er", "Er", "Se", "Se", "Se", "Se", "Se", "Se", "Se", "Se", "Se", "Se", "Se", "Se", "Se", "Se", "Se", "Se", "Se", "Se", "Se", "Se", "Se", "Se", "Se", "Se"],
  "fractional_positions": [[0.577, 0.471, 0.626], [0.167, 0.167, 0.000], [0.875, 0.508, 0.133], [0.173, 0.299, 0.394], [0.583, 0.083, 0.500], [0.905, 0.779, 0.606], [0.375, 0.742, 0.867], [0.221, 0.827, 0.126], [0.492, 0.625, 0.367], [0.917, 0.417, 0.500], [0.258, 0.125, 0.633], [0.701, 0.095, 0.874], [0.833, 0.833, 0.000], [0.529, 0.155, 0.106], [0.845, 0.951, 0.374], [0.049, 0.423, 0.894], [0.075, 0.828, 0.614], [0.865, 0.250, 0.745], [0.505, 0.119, 0.255], [0.885, 0.131, 0.885], [0.245, 0.000, 0.115], [0.214, 0.461, 0.386], [0.536, 0.422, 0.747], [0.404, 0.160, 0.598], [0.195, 0.596, 0.756], [0.675, 0.789, 0.253], [0.840, 0.439, 0.244], [0.211, 0.464, 0.886], [0.578, 0.325, 0.114], [0.561, 0.805, 0.402], [0.869, 0.755, 0.755], [0.750, 0.495, 0.615], [0.539, 0.925, 0.753], [0.000, 0.115, 0.245], [0.555, 0.811, 0.902], [0.172, 0.786, 0.247], [0.910, 0.654, 0.098], [0.881, 0.135, 0.385], [0.189, 0.090, 0.744], [0.346, 0.445, 0.256]]
}

=====

# 2
{
  "formula": "Er5Si4",
  "functional": "PBE",
  "state": "optimized geometry",
  "sg": "Pnma, No. 62",
  "e_form_ev_per_atom": -0.714,
  "cell": [[7.358, 0.000, 0.000], [0.000, 7.633, 0.000], [0.000, 0.000, 14.419]],
  "species": ["Er", "Er", "Er", "Er", "Er", "Er", "Er", "Er", "Er", "Er", "Er", "Er", "Er", "Er", "Er", "Er", "Er", "Er", "Er", "Er", "Si", "Si", "Si", "Si", "Si", "Si", "Si", "Si", "Si", "Si", "Si", "Si", "Si", "Si", "Si", "Si"],
  "fractional_positions": [[0.029, 0.817, 0.598], [0.529, 0.683, 0.598], [0.316, 0.821, 0.123], [0.816, 0.679, 0.123], [0.853, 0.512, 0.750], [0.471, 0.317, 0.098], [0.029, 0.817, 0.902], [0.471, 0.317, 0.402], [0.647, 0.012, 0.250], [0.529, 0.683, 0.902], [0.684, 0.179, 0.877], [0.184, 0.321, 0.623], [0.184, 0.321, 0.877], [0.816, 0.679, 0.377], [0.316, 0.821, 0.377], [0.353, 0.988, 0.750], [0.684, 0.179, 0.623], [0.147, 0.488, 0.250], [0.971, 0.183, 0.098], [0.971, 0.183, 0.402], [0.646, 0.972, 0.459], [0.234, 0.629, 0.750], [0.354, 0.028, 0.541], [0.019, 0.896, 0.250], [0.734, 0.871, 0.750], [0.266, 0.129, 0.250], [0.854, 0.472, 0.541], [0.481, 0.396, 0.750], [0.146, 0.528, 0.459], [0.146, 0.528, 0.041], [0.981, 0.104, 0.750], [0.766, 0.371, 0.250], [0.354, 0.028, 0.959], [0.854, 0.472, 0.959], [0.646, 0.972, 0.041], [0.519, 0.604, 0.250]]
}

=====

# 3
{
  "formula": "Er5Si4",
  "functional": "PBE",
  "state": "optimized geometry",
  "sg": "P2_1/c, No. 14",
  "e_form_ev_per_atom": -0.713,
  "cell": [[7.599, 0.000, 0.000], [0.000, 7.420, 0.000], [0.000, 0.878, 14.430]],
└──

Activity.
It remains to quote only the lines further above with the word "measured" in them.

Here it is.
Computed, not measured: a relaxed Nb3Co2Si crystal at the PBE level of DFT.